(Data)
┌──
# C40H45IrN9OPS

C40H45IrN9OPS as an isolated structure (the ωB97M-V functional and the def2-TZVPD basis, the Open Molecules 2025 dataset).

Last column: Mulliken spin population.
Positions of all 98 atoms, in Å:
Ir (-0.151588, -1.601190, 0.072787)  0.218
C (-3.269689, 1.760464, -3.288516)  0.000
C (-3.100831, 0.661361, -2.460869)  0.001
N (-1.900884, 0.165377, -2.200353)  -0.004
C (-0.854842, 0.724955, -2.787316)  0.004
C (-1.033215, 1.833879, -3.621847)  0.001
N (-2.228278, 2.356539, -3.856926)  0.000
C (0.463602, 0.026842, -2.670479)  -0.002
C (1.520344, 0.445094, -3.470461)  0.001
C (2.674485, -0.311314, -3.614264)  0.001
C (2.671764, -1.555951, -2.996967)  0.000
C (1.634679, -1.891439, -2.152625)  0.011
N (0.588045, -1.071384, -1.898848)  -0.006
C (1.568686, -3.223997, -1.513824)  -0.001
C (2.445365, -4.273760, -1.766253)  -0.005
N (2.305990, -5.461800, -1.198076)  0.007
C (1.277775, -5.628986, -0.375551)  -0.004
C (0.397722, -4.599798, -0.089365)  0.006
N (0.558385, -3.406598, -0.654649)  -0.013
C (3.820553, 0.163273, -4.428689)  -0.003
C (4.794361, -0.711716, -4.898501)  0.000
C (5.847534, -0.212535, -5.649500)  0.000
N (5.992352, 1.073312, -5.951294)  0.000
C (5.065421, 1.910027, -5.497032)  0.000
C (3.973849, 1.510231, -4.742053)  0.001
H (-4.251441, 2.168465, -3.495559)  0.000
H (-3.946868, 0.168661, -1.993577)  0.000
H (-0.212587, 2.323547, -4.126957)  0.000
H (1.420925, 1.358235, -4.030816)  0.001
H (3.495702, -2.238914, -3.122351)  0.001
H (3.283411, -4.158727, -2.439355)  0.000
H (1.156737, -6.601111, 0.084192)  0.000
H (-0.442853, -4.722520, 0.579431)  0.000
H (4.748918, -1.775689, -4.714721)  0.000
H (6.610222, -0.883548, -6.026669)  0.000
H (5.200170, 2.956508, -5.744359)  0.000
H (3.281139, 2.262521, -4.391133)  0.000
S (-4.166691, -3.556486, 0.332619)  0.006
C (-3.920115, -3.217521, -1.326303)  -0.006
C (-2.745302, -2.569511, -1.568452)  0.009
C (-1.999107, -2.305621, -0.382656)  -0.002
C (-2.652782, -2.828321, 0.710943)  -0.004
C (-1.949271, -2.890386, 1.964575)  -0.002
C (-2.414656, -3.459959, 3.146900)  0.002
C (-1.555605, -3.598831, 4.217782)  0.001
C (-0.235362, -3.185323, 4.088669)  0.002
C (0.161931, -2.597653, 2.907327)  -0.010
N (-0.677926, -2.418502, 1.879168)  -0.006
H (-4.664728, -3.522351, -2.045189)  0.000
H (-2.426923, -2.301603, -2.563449)  0.001
H (-3.435528, -3.813605, 3.196907)  0.000
H (-1.902169, -4.050794, 5.137688)  0.000
H (0.479841, -3.310868, 4.888395)  0.000
H (1.176989, -2.280283, 2.736634)  0.002
O (4.151068, -2.015563, 0.680212)  0.001
C (3.015883, -1.666148, 0.666463)  0.009
N (1.880901, -1.313175, 0.655511)  0.003
C (-1.409773, 0.308659, 3.989960)  0.010
C (-0.315618, 1.244015, 3.447518)  -0.015
C (-0.259752, 2.493995, 4.334743)  0.000
C (1.039260, 0.527715, 3.569665)  0.021
P (-0.674530, 1.538124, 1.621187)  -0.072
N (-0.486827, 0.231136, 0.724669)  0.693
C (0.491930, 2.889000, 1.014846)  0.051
C (0.143835, 4.297294, 1.509059)  0.002
C (1.918169, 2.541203, 1.474454)  -0.004
C (0.544165, 2.878493, -0.518660)  0.015
C (-2.477120, 2.052925, 1.402423)  0.070
C (-2.640867, 2.779530, 0.063364)  -0.017
C (-3.348526, 0.787413, 1.343528)  0.051
C (-2.991158, 3.001734, 2.490281)  0.007
H (-1.066817, -0.107255, 4.939114)  0.000
H (-1.614789, -0.522126, 3.317595)  -0.002
H (-2.344043, 0.829033, 4.186665)  0.001
H (-0.158666, 2.160104, 5.370939)  0.000
H (-1.154500, 3.110068, 4.279233)  0.000
H (0.607197, 3.115191, 4.116588)  0.000
H (1.069761, 0.001170, 4.526441)  0.000
H (1.873280, 1.221445, 3.561736)  0.004
H (1.206034, -0.181683, 2.765782)  -0.007
H (0.066394, 4.364851, 2.592037)  0.000
H (-0.776289, 4.681820, 1.074848)  0.000
H (0.948890, 4.968347, 1.199506)  0.000
H (2.075336, 2.744050, 2.530836)  0.000
H (2.614167, 3.174434, 0.920531)  0.001
H (2.174932, 1.500359, 1.264960)  0.005
H (-0.370978, 3.219313, -0.992222)  -0.001
H (0.779043, 1.877924, -0.875444)  -0.010
H (1.347036, 3.550879, -0.830755)  0.000
H (-2.209888, 2.211029, -0.750012)  0.010
└──

(What to do)
Could you set down the lines above up to the one that holds "-4.030816)", that line included?

(Response)
# C40H45IrN9OPS

C40H45IrN9OPS as an isolated structure (the ωB97M-V functional and the def2-TZVPD basis, the Open Molecules 2025 dataset).

Last column: Mulliken spin population.
Positions of all 98 atoms, in Å:
Ir (-0.151588, -1.601190, 0.072787)  0.218
C (-3.269689, 1.760464, -3.288516)  0.000
C (-3.100831, 0.661361, -2.460869)  0.001
N (-1.900884, 0.165377, -2.200353)  -0.004
C (-0.854842, 0.724955, -2.787316)  0.004
C (-1.033215, 1.833879, -3.621847)  0.001
N (-2.228278, 2.356539, -3.856926)  0.000
C (0.463602, 0.026842, -2.670479)  -0.002
C (1.520344, 0.445094, -3.470461)  0.001
C (2.674485, -0.311314, -3.614264)  0.001
C (2.671764, -1.555951, -2.996967)  0.000
C (1.634679, -1.891439, -2.152625)  0.011
N (0.588045, -1.071384, -1.898848)  -0.006
C (1.568686, -3.223997, -1.513824)  -0.001
C (2.445365, -4.273760, -1.766253)  -0.005
N (2.305990, -5.461800, -1.198076)  0.007
C (1.277775, -5.628986, -0.375551)  -0.004
C (0.397722, -4.599798, -0.089365)  0.006
N (0.558385, -3.406598, -0.654649)  -0.013
C (3.820553, 0.163273, -4.428689)  -0.003
C (4.794361, -0.711716, -4.898501)  0.000
C (5.847534, -0.212535, -5.649500)  0.000
N (5.992352, 1.073312, -5.951294)  0.000
C (5.065421, 1.910027, -5.497032)  0.000
C (3.973849, 1.510231, -4.742053)  0.001
H (-4.251441, 2.168465, -3.495559)  0.000
H (-3.946868, 0.168661, -1.993577)  0.000
H (-0.212587, 2.323547, -4.126957)  0.000
H (1.420925, 1.358235, -4.030816)  0.001